US pastor in Turkey tops list of Americans jailed, sentenced on dubious charges

The North Carolina pastor on trial in Turkey this week on what have been seen as questionable terrorism charges is hardly the only American citizen who has been arrested, jailed and harassed by an increasingly anti-U.S. Turkish government.

And while Andrew Brunson is at least getting his day in court -- along with the support of two members of Congress who are attending the trial -- the fate of other Americans being held in the Turkish legal system is much murkier.

_Here the text breaks off for data records_
+++
{
  "formula": "C49H38BiBrF10N5O5P2Si",
  "method": "ωB97M-V with the def2-TZVPD basis set",
  "e_homo_ev": [-8.31, -8.49],
  "s_squared": 0.805,
  "de_lowest_kj_mol": 0.0,
  "spin_multiplicity": 2,
  "max_force_ha_per_bohr": 0.06921,
  "total_energy_ha": -7299.71368,
  "total_charge": 0,
  "gap_ev": [7.62, 6.70],
  "species": ["Bi", "Br", "P", "P", "Si", "F", "F", "F", "F", "F", "F", "F", "F", "F", "F", "O", "O", "O", "O", "O", "N", "N", "N", "N", "N", "C", "C", "C", "C", "C", "C", "C", "C", "C", "C", "C", "C", "C", "C", "C", "C", "C", "C", "C", "C", "C", "C", "C", "C", "C", "C", "C", "C", "C", "C", "C", "C", "C", "C", "C", "C", "C", "C", "C", "C", "C", "C", "C", "C", "C", "C", "C", "C", "C", "H", "H", "H", "H", "H", "H", "H", "H", "H", "H", "H", "H", "H", "H", "H", "H", "H", "H", "H", "H", "H", "H", "H", "H", "H", "H", "H", "H", "H", "H", "H", "H", "H", "H", "H", "H", "H", "H"],
+++
_The text goes on_

NASA physicist and Houston resident Serkan Golge is one of those Americans. Convicted in a Turkish court on what were widely perceived as trumped-up charges, he was sentenced in February to seven and a half years in prison.

Golge’s nightmare began just weeks after the botched 2016 coup attempt in Turkey, while he was visiting relatives in Antaya, a city in the country's south, near the Syrian border.

According to Golge's wife, Kubra, the family were packing up a car with their two young sons -- now 2 and 7 -- and preparing for their trip back to Texas when plainclothes officers arrived and searched their luggage. Nothing was found.

Hours later, police returned to search the house where they had been staying. Again, nothing was found. But investigators appeared yet again, and located a single U.S. dollar bill -- one of the pieces of supposed evidence used to prop up claims that he had "terrorist ties."

Golge was charged with being a CIA operative and a supporter of Fethullah Gulen, the Pennsylvania-based Muslim cleric that the Turkish government of President Tayyip Erdogan blames for the coup attempt. The Turkish government has asked for Gulen's extradition, a request that has gone nowhere based on lack of evidence, according to U.S. officials.

Associates close to Golge told Fox News that while he was under interrogation, authorities said he could “earn his freedom” by returning to the U.S and working as a spy for the Turkish intelligence agency, known as MIT. But he vehemently refused – and has since been singled out for harsh treatment that includes solitary confinement and "psychological torture," according to sources.

The prosecutor’s case apparently came courtesy of an in-law who made up the accusation due to a family disagreement over a piece of land that didn’t even directly involve Golge, sources said.  Golge’s mother and wife were not permitted to testify on his behalf.

Kubra is allowed to visit her husband once a week, and said he’s trying to stay optimistic. But he suffers from health issues, and was recently hospitalized for a kidney stone. Golge’s family was not notified that he was sick.

Kubra herself is under a “travel ban” and remains in Turkey, for reasons that have not been made clear to her. She has been forced to sell the family house in Houston to make ends meet.

And Golge faces an uncertain professional future, even if he were to be released from prison. His job, a research position in conjunction with NASA and the University of Houston, was eliminated after his conviction, “when it became
known … he would be detained long term,” according to a spokesperson for the school.

Those who studied and worked alongside Golge had nothing but glowing things to say.

_These quantum chemistry results were left in the piece by mistake_
{"formula": "C36H27BaN2OP", "method": "ωB97M-V with the def2-TZVPD basis set", "elements": ["Ba", "P", "O", "N", "N", "C", "C", "C", "C", "C", "C", "C", "C", "C", "C", "C", "C", "C", "C", "C", "C", "C", "C", "C", "C", "C", "C", "C", "C", "C", "C", "C", "C", "C", "C", "C", "C", "C", "C", "C", "C", "H", "H", "H", "H", "H", "H", "H", "H", "H", "H", "H", "H", "H", "H", "H", "H", "H", "H", "H", "H", "H", "H", "H", "H", "H", "H", "H"], "positions_angstrom": [[-0.661497, 0.530674, -0.258763], [2.282903, 0.267074, -0.764463], [-0.447997, -0.706326, -2.046063], [-2.413397, -1.579026, 0.802837], [-1.442397, -0.014826, 2.869837], [-3.511697, -3.557626, 0.029437], [1.212403, -4.100026, 0.221337], [-2.374797, -2.099526, 2.048837], [6.659403, 0.583674, 0.615237], [-3.998897, 4.409574, 0.069737], [4.538503, 1.588574, 0.132537], [-2.724297, -3.939826, 3.632037], [-1.674097, -1.906526, 4.354137], [-6.054197, 5.584574, 0.508437], [3.732003, 0.567374, -3.173263], [-5.483597, 6.768474, 0.069337], [-4.169597, 6.772574, -0.372563], [1.590903, -3.773726, -1.070863], [3.795203, 0.710574, -4.545663], [1.191903, -3.122326, 1.204237], [4.015303, 0.337074, -0.179863], [1.942603, -2.473626, -1.388963], [5.858903, 1.710874, 0.524537], [-2.855297, -3.406226, 2.335737], [-3.430997, 5.606274, -0.374763], [-2.496097, 2.243174, 0.083237], [-5.322697, 4.411974, 0.510037], [0.117403, 0.285674, -2.536063], [1.546003, -1.824526, 0.886937], [-3.209197, 3.225374, 0.068437], [-1.831297, -1.322426, 3.113437], [-2.947697, -2.286326, -0.161063], [1.323503, 0.256274, -3.314563], [2.625203, 0.661974, -5.299363], [1.405103, 0.453574, -4.699263], [2.515203, 0.322374, -2.549663], [-2.109897, -3.209826, 4.612637], [4.823703, -0.790426, -0.088463], [1.919603, -1.487326, -0.411363], [-3.459497, -4.117626, 1.277537], [6.142403, -0.663626, 0.305837], [-3.721697, 7.694274, -0.716563], [0.932403, -5.114726, 0.465837], [-6.059897, 7.683174, 0.068837], [0.902703, -3.371626, 2.215837], [-1.217097, -1.328626, 5.144537], [2.679803, 0.803074, -6.368963], [-3.970997, -4.071526, -0.801963], [4.752503, 0.861174, -5.024663], [1.608803, -4.537126, -1.835363], [6.270103, 2.684174, 0.750737], [-3.115997, -4.926026, 3.827237], [-5.767997, 3.487174, 0.849437], [0.496303, 0.430374, -5.282263], [7.690203, 0.674674, 0.923437], [-2.406897, 5.600874, -0.721163], [3.908603, 2.467674, 0.049037], [4.422003, -1.762326, -0.342663], [-2.932997, -1.832726, -1.143863], [-1.297597, 0.518774, 3.717337], [-1.975697, -3.626926, 5.599637], [2.228003, -2.221226, -2.401163], [4.633203, 0.630874, -2.579163], [-2.058897, 0.464674, 2.223837], [-7.078897, 5.579474, 0.852237], [-3.864697, -5.100326, 1.471837], [6.770103, -1.541826, 0.355937], [1.555603, -1.061426, 1.660737]], "atomic_forces_ev_per_a": [[-1.3867, 1.6066, 5.0849], [1.5984, -0.1055, 0.2321], [0.3063, -2.7322, -3.6036], [0.0518, 0.2238, -0.1648], [0.1900, 0.2281, -0.1912], [-0.0828, -0.2656, 0.2499], [-0.0558, -0.0254, 0.0696], [-0.1350, -0.6037, 0.4040], [0.0873, 0.0066, 0.0134], [0.0364, 0.1658, -0.0796], [-0.1051, -0.0333, -0.0478], [0.0673, -0.0617, 0.2275], [0.0856, 0.3539, -0.3288], [-0.1186, 0.0737, 0.0243], [-0.0559, -0.3279, 0.0628], [-0.0455, 0.0723, -0.0014], [-0.0163, 0.1518, -0.0285], [0.0310, -0.0961, -0.0343], [-0.0567, 0.0490, -0.2392], [-0.0351, -0.1593, 0.1154], [-0.2568, 0.1710, 0.0922], [0.0101, -0.0447, 0.0068], [0.1500, 0.0851, 0.0170], [0.0672, 0.4047, -0.1196], [-0.0539, 0.0200, 0.0078], [-0.3983, -0.1315, 0.3109], [0.0231, -0.0355, -0.0070], [0.1821, 0.6970, -0.5160], [0.0646, 0.2332, 0.0144], [-0.4927, 0.5752, 0.0952], [0.0024, -0.3599, 0.3678], [0.0486, 0.1657, 0.0202], [1.0491, 0.0248, -1.1800], [0.4676, 0.0395, -0.0821], [-0.3331, -0.3302, 0.4535], [-0.4534, 0.0952, -0.4201], [-0.1643, -0.2919, -0.2274], [-0.0855, 0.0339, -0.0654], [-0.0702, -0.0785, -0.1348], [0.0767, 0.1999, -0.2994], [0.0981, -0.0836, 0.0023], [0.0401, 0.0602, -0.0314], [-0.0233, -0.0625, 0.0058], [-0.0296, 0.0403, 0.0054], [-0.0355, -0.0116, 0.0619], [0.0064, 0.0789, 0.1128], [-0.0230, -0.0146, -0.1009], [0.0142, -0.0283, -0.0346], [-0.0042, 0.0952, -0.0474], [0.0023, -0.0443, -0.0604], [0.0053, 0.0631, 0.0441], [0.0117, -0.1442, 0.0573], [0.0120, -0.0388, 0.0122], [-0.0570, 0.0507, -0.1063], [0.0924, 0.0325, 0.0238], [0.0243, -0.0075, 0.0019], [0.0191, -0.0080, 0.0390], [0.0326, -0.0232, 0.0275], [-0.0487, -0.0299, -0.1283], [-0.0482, 0.0300, -0.1922], [-0.0229, -0.0190, 0.0763], [-0.0288, 0.0007, -0.0341], [0.0432, -0.0093, -0.0080], [-0.1361, 0.2370, 0.0677], [-0.0770, -0.0188, 0.0253], [-0.0443, -0.0950, -0.0169], [0.0572, -0.0444, 0.0522], [-0.0740, 0.0008, 0.0466]], "mulliken_charge": [1.984, 0.173, -0.469, -0.147, -0.335, -0.818, -0.617, -0.021, -0.444, 0.637, -0.244, -0.895, -0.677, -0.392, -0.589, -0.406, -0.428, -0.830, -0.718, -0.652, -0.312, -0.159, -0.625, 1.069, -0.470, 0.863, -0.537, 0.093, -0.149, -2.339, 0.559, -0.303, 0.366, -0.579, -0.885, 0.400, -0.708, 0.047, 0.372, -0.684, -0.759, 0.361, 0.411, 0.372, 0.439, 0.343, 0.377, 0.412, 0.416, 0.434, 0.407, 0.395, 0.413, 0.488, 0.394, 0.400, 0.395, 0.408, 0.493, 0.247, 0.406, 0.431, 0.330, 0.218, 0.362, 0.425, 0.410, 0.441], "spin_multiplicity": 1, "homo_energy_ev": -7.1}
_So much for the quantum chemistry results_

“He is a very kind, genuine, and supportive colleague.  He wants everyone to have the best possible chance to succeed, and he will do his part to support even if all he can do is provide encouragement,” said Alicia Hofler, who studied alongside Golge as he was completing his doctoral dissertation at Old Dominion University in Virginia.

“When he moved to Texas to work as a NASA contractor, we kept in contact via email.  His emails always brightened my day.  He has a great sense of humor that is never spiteful or mean-spirited.  He always asked about my family and kept me up to date on his new life in Texas.”

Arne Freyberger, who served as Serkan’s co-adviser while he was completing his dissertation, told Fox News the thesis topic developed a new concept for the production of a positron beam. “Working with Serkan, watching him develop, grow and transition from a student into a self-sustaining scientist, is one of the highlights of my career,” said Freyberger. “Serkan was very appreciative of his good fortune in life.”

Records of molecules that have nothing to do with the page
~~~
Here is a 2-piece molecular cluster, C11H12F8NO7S overall from the OMol25 dataset. Energies are from the ωB97M-V functional and the def2-TZVPD basis.

```
40
Properties=species:S:1:pos:R:3:forces:R:3:lowdin_charge:R:1
C -0.26832 0.09316 4.12333 0.0 1.2 0.6 -0.0625
C -0.07502 0.91110 2.71692 -0.4 0.3 0.6 -0.2324
F 0.92396 1.98100 2.93450 -2.0 -2.4 -0.5 -0.0861
C 0.23248 -0.05182 1.40431 -3.2 -0.6 2.0 -0.2256
S 1.50431 0.67160 0.17449 7.9 -4.4 -0.5 0.9453
O 1.89685 -0.40920 -0.90735 -3.0 4.2 3.3 -0.3099
O 2.87123 1.01610 0.88574 -5.8 -0.4 -1.8 -0.3454
C 0.93172 2.29007 -0.60528 -1.6 4.0 1.2 -0.2311
F 1.33204 3.36873 0.37467 -1.4 -3.4 -3.1 -0.0084
F -0.53586 2.41618 -0.75670 4.6 -0.6 0.3 0.0231
C 1.71338 2.64684 -2.00087 1.5 2.7 0.2 -0.0914
F 3.20112 2.67858 -1.74056 -5.2 -0.4 -0.9 0.0304
F 1.34348 4.06945 -2.33549 1.1 -4.7 1.2 0.0242
C 1.32737 1.70782 -3.28415 -0.5 -0.4 -3.5 -0.1411
F 0.87100 2.65230 -4.37160 1.6 -3.4 3.6 0.0250
F 0.20501 0.76726 -3.07120 4.5 3.4 -0.5 0.0760
F 2.56397 1.06443 -3.78648 -4.6 1.9 1.8 0.0544
C 0.49028 -1.67663 1.68359 0.8 -1.0 -1.3 -0.2434
C 2.02549 -2.23968 1.73763 -0.1 -0.9 1.0 -0.0468
O -0.12770 -2.32436 0.47883 -1.7 2.3 -1.6 -0.0781
C -1.08404 -1.44749 -0.27484 -0.3 -0.8 -4.4 -0.1731
O -1.52822 -1.64304 -1.51884 3.2 1.1 9.4 0.0683
C -1.32240 -0.25079 0.81909 -1.2 -0.6 -1.4 -0.2045
N -2.30339 -0.93020 1.79692 0.9 0.8 0.0 0.0264
H -0.93963 -0.86533 4.05618 1.6 1.9 -0.2 0.0808
H -0.83787 0.83574 4.86328 1.3 -1.5 -1.6 0.1021
H 0.78707 -0.09050 4.60385 -2.1 0.1 -1.1 0.1045
H -1.10366 1.45563 2.47563 2.4 -0.8 0.5 0.1513
H -0.11131 -2.19710 2.54121 1.1 2.1 -1.3 0.1499
H 2.86097 -1.42449 1.80637 -1.7 -1.5 -0.5 0.0843
H 2.16891 -3.01080 0.85401 -0.2 2.0 1.7 0.1144
H 2.11352 -2.88943 2.73387 -0.2 1.4 -2.1 0.0921
H -1.93143 0.70611 0.53450 2.1 -1.6 -0.4 0.1618
H -3.00185 -1.46854 1.23762 0.7 0.9 0.7 0.1087
H -2.75420 -0.19266 2.39171 0.3 -1.1 -1.1 0.0888
C -2.95447 -1.71955 -4.78914 -2.1 -0.5 -2.2 -0.9115
O -3.35404 -0.61582 -4.34612 -1.1 1.0 -0.2 -0.1013
O -1.85846 -2.11189 -4.15530 2.1 -0.4 1.2 0.0156
O -3.40620 -2.46503 -5.68694 0.0 0.5 0.4 -0.0806
H -1.86611 -1.30776 -3.59739 0.9 -0.6 0.4 0.0460
```
Forces are in eV/Å.

Properties
HOMO-LUMO gap: 0.167 Ha
HOMO level: -3.670 eV
Charge: -1

=====

Here is C11H12InN2P as an isolated structure from the OMol25 dataset. Energies are from the ωB97M-V functional and the def2-TZVPD basis.

```
27
Properties=species:S:1:pos:R:3:forces:R:3:lowdin_charge:R:1
C -3.12899 0.77626 -1.25143 -1.9 0.0 -1.6 -0.2160
C -2.17263 1.70365 -1.77473 -0.5 -0.5 -0.5 -0.1576
C -1.22806 0.92954 -2.52087 -0.3 0.1 -1.9 -0.1825
C -1.68970 -0.45018 -2.58532 0.2 0.7 -0.8 -0.1590
C -2.86132 -0.54457 -1.80313 -1.1 0.9 -0.2 -0.1739
In -1.15011 0.14213 -0.43184 2.6 0.0 0.5 0.5815
P -1.60427 -0.25332 1.69686 -1.1 -0.7 4.8 0.6210
H -3.98895 1.03354 -0.62915 0.4 -0.1 -0.2 0.1203
H -2.14479 2.77959 -1.60311 0.1 -0.5 0.1 0.1249
H -0.36020 1.32612 -3.05231 -0.4 -0.2 0.2 0.1221
~~~

Freyberger said Golge would often reflect on his good fortune in coming from Turkey and embracing the American dream. “Selected and admitted into the ODU graduation program, obtaining U.S. citizenship, amazed that some of his concepts panned out, getting married and starting a family,” Freyberger said. “He never took anything for granted and never let what appeared to be an insurmountable obstacle stop him.”

Golge studied space radiation at NASA, with the goal of making it safer for astronauts at the space station -- a project cut short by his arrest. His colleague, Kevin Beard, called his contributions “world-class.”

Another Turkish-American citizen, 26-year-old Nilufer Sonmez, was just released from a Turkish jail in February, after almost a year behind bars. She and her brother, Teoman, were taken into custody in April 2017.

“Intelligence officials accused me of using a cryptoprogram that coup plotters were using to communicate,” she told Fox News from the Turkish capital of Ankara, where she remains “under probation” – unable to leave Turkey for the United States. But the real reason Sonmez and her brother we taken in, she said, “was to abuse our father.”

Sonmez’s father, Adm. Nejat Atilla Demirhan, was among the thousands of military officers swept up in the aftermath of the coup. He was arrested in part, Sonmez said, because he had spent so much time in the United States.

Demirhan was sent by the Turkish military to study in Northern California, where Sonmez was born. She spent much of her childhood in Turkey before the family were again relocated to Virginia in her teenage years.

Sonmez said she made it through her imprisonment with the help of visiting officials from the U.S. Embassy, who were able to get her medical treatment for a blood pressure problem.

“I was trying to be strong, but the lady from the embassy was so upset for me she was crying,” Sonmez recalled. “She kept asking what she could do to help.”

But with their father now serving a life sentence, and as they try to piece their lives together, Sonmez – who married 18 months before her arrest -- said her new-found freedom is fraught. Even a night out with her friends and passage through a checkpoint on the way home -- in which all their identification cards are scanned by police --induces a sensation of panic.

“You just don’t know who will end up behind bars next,” she said, mustering a defiant smile.